No. 1
Here is an optimized crystal structure of K2AlRh from Alexandria. Energies are from GGA-PBEsol.

It has space group P4/mmm (No. 123), with a = 4.449 Å, b = 4.449 Å, c = 5.279 Å, α = 90.00°, β = 90.00° and γ = 90.00°. The inequivalent atoms are K at (0.000, 0.000, 0.245), Al at (0.500, 0.500, 0.500) and Rh at (0.500, 0.500, 0.000).

The value obtained for the volume is 26.125 Å³/atom. The formation energy is 0.69 eV per atom.

=====

No. 2
Here is an optimized crystal structure of BeRe2Ru from Alexandria. Energies are from GGA-PBEsol.

It has space group Pmmm (No. 47), with a = 2.967 Å, b = 4.157 Å, c = 4.268 Å, α = 90.00°, β = 90.00° and γ = 90.00°. The inequivalent atoms are Be at (0.000, 0.000, 0.000), Re at (0.000, 0.500, 0.500), Re at (0.500, 0.000, 0.500) and Ru at (0.500, 0.500, 0.000).

The value obtained for the volume is 13.158 Å³/atom. The formation energy is 0.17 eV per atom. For the energy above the most stable polymorph in this dataset, the calculation gives 171 meV per atom.

=====

No. 3
Here is an optimized crystal structure of CaPbW2 from Alexandria. Energies are from GGA-PBEsol.

It has space group R3m (No. 160, hexagonal axes), with a = 3.2501 Å, b = 3.2501 Å, c = 28.6811 Å, α = 90.00°, β = 90.00° and γ = 120.00°. The inequivalent atoms are Ca at (0.0000, 0.0000, 0.0000), Pb at (0.0000, 0.0000, 0.7657), W at (0.0000, 0.0000, 0.2432) and W at (0.0000, 0.0000, 0.5172).

The value obtained for the volume is 21.864 Å³/atom. The formation energy is 0.58 eV per atom.

=====

No. 4
Here is an optimized crystal structure of AgTe2SN from Alexandria. Energies are from GGA-PBEsol.

It has space group P4/mmm (No. 123), with a = 5.423 Å, b = 5.423 Å, c = 3.807 Å, α = 90.00°, β = 90.00° and γ = 90.00°. The inequivalent atoms are Ag at (0.000, 0.000, 0.000), Te at (0.000, 0.500, 0.000), S at (0.500, 0.500, 0.500) and N at (0.000, 0.000, 0.500).

The value obtained for the volume is 22.388 Å³/atom. The calculation puts the uncorrected formation energy at 1.22 eV per atom.

=====

No. 5
Here is an optimized crystal structure of Dy5Si10Ir4 from Alexandria. Energies are from GGA-PBEsol.

It has space group P4/mbm (No. 127), with a = 12.515 Å, b = 12.515 Å, c = 4.223 Å, α = 90.00°, β = 90.00° and γ = 90.00°. The inequivalent atoms are Dy at (0.000, 0.000, 0.000), Dy at (0.115, 0.385, 0.500), Dy at (0.175, 0.675, 0.500), Si at (0.000, 0.158, 0.500), Si at (0.066, 0.566, 0.000), Si at (0.164, 0.200, 0.000) and Ir at (0.020, 0.755, 0.000).

The value obtained for the volume is 17.407 Å³/atom. The calculation puts the uncorrected formation energy at -0.96 eV per atom.

=====

No. 6
Here is an optimized crystal structure of Be3Co from Alexandria. Energies are from GGA-PBEsol.

It has space group Pm-3m (No. 221), with a = 3.194 Å, b = 3.194 Å, c = 3.194 Å, α = 90.00°, β = 90.00° and γ = 90.00°. The inequivalent atoms are Be at (0.000, 0.000, 0.500) and Co at (0.500, 0.500, 0.500).

The value obtained for the volume is 8.142 Å³/atom. The formation energy is -0.24 eV per atom.

=====

No. 7
Here is an optimized crystal structure of MnPbF3 from Alexandria. Energies are from GGA-PBEsol.

It has space group Pm-3m (No. 221), with a = 4.224 Å, b = 4.224 Å, c = 4.224 Å, α = 90.00°, β = 90.00° and γ = 90.00°. The inequivalent atoms are Mn at (0.000, 0.000, 0.000), Pb at (0.500, 0.500, 0.500) and F at (0.000, 0.000, 0.500).

The value obtained for the volume is 15.071 Å³/atom. The calculation puts the uncorrected formation energy at -1.76 eV per atom.

=====

No. 8
Here is an optimized crystal structure of Ca2TaRe from Alexandria. Energies are from GGA-PBEsol.

It has space group Cm (No. 8), with a = 8.458 Å, b = 3.151 Å, c = 7.536 Å, α = 90.00°, β = 94.37° and γ = 90.00°. The inequivalent atoms are Ca at (0.000, 0.000, 0.000), Ca at (0.222, 0.000, 0.623), Ta at (0.256, 0.500, 0.257) and Re at (0.481, 0.000, 0.378).
Could you retype the calculation results further above exactly?
No. 1
Here is an optimized crystal structure of K2AlRh from Alexandria. Energies are from GGA-PBEsol.

It has space group P4/mmm (No. 123), with a = 4.449 Å, b = 4.449 Å, c = 5.279 Å, α = 90.00°, β = 90.00° and γ = 90.00°. The inequivalent atoms are K at (0.000, 0.000, 0.245), Al at (0.500, 0.500, 0.500) and Rh at (0.500, 0.500, 0.000).

The value obtained for the volume is 26.125 Å³/atom. The formation energy is 0.69 eV per atom.

=====

No. 2
Here is an optimized crystal structure of BeRe2Ru from Alexandria. Energies are from GGA-PBEsol.

It has space group Pmmm (No. 47), with a = 2.967 Å, b = 4.157 Å, c = 4.268 Å, α = 90.00°, β = 90.00° and γ = 90.00°. The inequivalent atoms are Be at (0.000, 0.000, 0.000), Re at (0.000, 0.500, 0.500), Re at (0.500, 0.000, 0.500) and Ru at (0.500, 0.500, 0.000).

The value obtained for the volume is 13.158 Å³/atom. The formation energy is 0.17 eV per atom. For the energy above the most stable polymorph in this dataset, the calculation gives 171 meV per atom.

=====

No. 3
Here is an optimized crystal structure of CaPbW2 from Alexandria. Energies are from GGA-PBEsol.

It has space group R3m (No. 160, hexagonal axes), with a = 3.2501 Å, b = 3.2501 Å, c = 28.6811 Å, α = 90.00°, β = 90.00° and γ = 120.00°. The inequivalent atoms are Ca at (0.0000, 0.0000, 0.0000), Pb at (0.0000, 0.0000, 0.7657), W at (0.0000, 0.0000, 0.2432) and W at (0.0000, 0.0000, 0.5172).

The value obtained for the volume is 21.864 Å³/atom. The formation energy is 0.58 eV per atom.

=====

No. 4
Here is an optimized crystal structure of AgTe2SN from Alexandria. Energies are from GGA-PBEsol.

It has space group P4/mmm (No. 123), with a = 5.423 Å, b = 5.423 Å, c = 3.807 Å, α = 90.00°, β = 90.00° and γ = 90.00°. The inequivalent atoms are Ag at (0.000, 0.000, 0.000), Te at (0.000, 0.500, 0.000), S at (0.500, 0.500, 0.500) and N at (0.000, 0.000, 0.500).

The value obtained for the volume is 22.388 Å³/atom. The calculation puts the uncorrected formation energy at 1.22 eV per atom.

=====

No. 5
Here is an optimized crystal structure of Dy5Si10Ir4 from Alexandria. Energies are from GGA-PBEsol.

It has space group P4/mbm (No. 127), with a = 12.515 Å, b = 12.515 Å, c = 4.223 Å, α = 90.00°, β = 90.00° and γ = 90.00°. The inequivalent atoms are Dy at (0.000, 0.000, 0.000), Dy at (0.115, 0.385, 0.500), Dy at (0.175, 0.675, 0.500), Si at (0.000, 0.158, 0.500), Si at (0.066, 0.566, 0.000), Si at (0.164, 0.200, 0.000) and Ir at (0.020, 0.755, 0.000).

The value obtained for the volume is 17.407 Å³/atom. The calculation puts the uncorrected formation energy at -0.96 eV per atom.

=====

No. 6
Here is an optimized crystal structure of Be3Co from Alexandria. Energies are from GGA-PBEsol.

It has space group Pm-3m (No. 221), with a = 3.194 Å, b = 3.194 Å, c = 3.194 Å, α = 90.00°, β = 90.00° and γ = 90.00°. The inequivalent atoms are Be at (0.000, 0.000, 0.500) and Co at (0.500, 0.500, 0.500).

The value obtained for the volume is 8.142 Å³/atom. The formation energy is -0.24 eV per atom.

=====

No. 7
Here is an optimized crystal structure of MnPbF3 from Alexandria. Energies are from GGA-PBEsol.

It has space group Pm-3m (No. 221), with a = 4.224 Å, b = 4.224 Å, c = 4.224 Å, α = 90.00°, β = 90.00° and γ = 90.00°. The inequivalent atoms are Mn at (0.000, 0.000, 0.000), Pb at (0.500, 0.500, 0.500) and F at (0.000, 0.000, 0.500).

The value obtained for the volume is 15.071 Å³/atom. The calculation puts the uncorrected formation energy at -1.76 eV per atom.

=====

No. 8
Here is an optimized crystal structure of Ca2TaRe from Alexandria. Energies are from GGA-PBEsol.

It has space group Cm (No. 8), with a = 8.458 Å, b = 3.151 Å, c = 7.536 Å, α = 90.00°, β = 94.37° and γ = 90.00°. The inequivalent atoms are Ca at (0.000, 0.000, 0.000), Ca at (0.222, 0.000, 0.623), Ta at (0.256, 0.500, 0.257) and Re at (0.481, 0.000, 0.378).